### Brief
The reader should echo the lines underneath from the one with "(-12.64, -17.19," to the one with "HOMO energy" exactly.

### Excerpt
+++
C28H77N7O7 | ωB97M-V/def2-TZVPD

Positions of all 119 atoms, in Å:
C (-10.51, -26.48, -17.70)
C (-9.59, -25.55, -16.90)
C (-10.25, -24.96, -15.67)
O (-9.42, -23.88, -15.22)
C (-9.85, -23.24, -14.07)
N (-8.38, -26.34, -16.55)
H (-11.34, -25.91, -18.11)
H (-10.75, -27.27, -17.00)
H (-9.90, -26.86, -18.52)
H (-9.31, -24.71, -17.55)
H (-10.37, -25.76, -14.95)
H (-11.21, -24.57, -16.02)
H (-9.65, -23.78, -13.15)
H (-10.89, -23.05, -14.31)
H (-9.34, -22.27, -14.01)
H (-7.72, -25.64, -16.23)
H (-8.05, -26.81, -17.38)
C (-11.92, -24.07, -6.89)
C (-10.88, -23.59, -7.87)
C (-9.41, -23.86, -7.37)
O (-8.85, -23.07, -6.32)
C (-7.53, -23.31, -6.00)
N (-11.12, -24.26, -9.17)
H (-12.94, -23.93, -7.24)
H (-11.75, -23.74, -5.86)
H (-11.86, -25.16, -6.93)
H (-11.01, -22.52, -8.00)
H (-8.74, -23.60, -8.19)
H (-9.35, -24.92, -7.09)
H (-6.81, -22.49, -5.96)
H (-7.05, -24.02, -6.68)
H (-7.49, -23.74, -5.00)
H (-10.52, -25.07, -9.08)
H (-12.10, -24.45, -9.30)
C (-10.59, -14.25, -7.39)
C (-10.77, -13.15, -8.38)
C (-12.26, -12.66, -8.42)
O (-13.16, -13.72, -8.90)
C (-13.26, -13.92, -10.32)
N (-9.86, -12.05, -8.05)
H (-11.01, -15.17, -7.80)
H (-11.01, -13.91, -6.44)
H (-9.51, -14.39, -7.33)
H (-10.41, -13.44, -9.37)
H (-12.34, -11.87, -9.17)
H (-12.65, -12.29, -7.47)
H (-13.91, -14.79, -10.46)
H (-12.26, -14.14, -10.71)
H (-13.67, -13.08, -10.87)
H (-9.77, -11.94, -7.05)
H (-10.14, -11.21, -8.55)
C (-13.78, -16.24, -14.57)
C (-14.07, -17.43, -13.63)
C (-13.49, -18.80, -14.20)
O (-14.09, -19.29, -15.30)
C (-13.31, -20.31, -16.04)
N (-13.65, -17.09, -12.29)
H (-14.08, -16.59, -15.56)
H (-12.71, -16.03, -14.62)
H (-14.31, -15.29, -14.49)
H (-15.15, -17.42, -13.47)
H (-13.49, -19.60, -13.46)
H (-12.50, -18.53, -14.57)
H (-13.87, -20.83, -16.82)
H (-12.94, -21.13, -15.43)
H (-12.42, -19.95, -16.54)
H (-12.64, -17.19, -12.29)
H (-13.96, -17.86, -11.71)
C (-11.29, -20.89, -11.14)
C (-10.75, -19.45, -11.40)
C (-10.79, -18.43, -10.27)
O (-12.15, -18.33, -9.88)
C (-12.42, -17.82, -8.63)
N (-9.39, -19.62, -11.85)
H (-12.38, -20.87, -11.15)
H (-11.04, -21.17, -10.12)
H (-11.01, -21.55, -11.96)
H (-11.33, -18.98, -12.20)
H (-10.27, -17.49, -10.47)
H (-10.16, -18.76, -9.44)
H (-13.43, -17.90, -8.21)
H (-12.42, -16.73, -8.69)
H (-11.68, -18.16, -7.91)
H (-8.82, -18.82, -12.07)
H (-8.85, -20.01, -11.09)
C (-9.48, -18.43, -5.64)
C (-9.60, -19.93, -5.19)
C (-10.90, -20.62, -5.70)
O (-12.03, -19.91, -5.33)
C (-13.21, -20.34, -5.86)
N (-8.40, -20.42, -5.69)
H (-8.51, -18.06, -5.31)
H (-10.38, -17.98, -5.22)
H (-9.56, -18.29, -6.72)
H (-9.65, -20.15, -4.12)
H (-10.85, -21.66, -5.37)
H (-10.90, -20.68, -6.79)
H (-13.55, -21.31, -5.48)
H (-13.29, -20.39, -6.95)
H (-13.86, -19.58, -5.43)
H (-8.40, -20.04, -6.63)
H (-8.56, -21.40, -5.84)
C (-5.50, -15.93, -9.72)
C (-6.77, -16.85, -9.66)
C (-6.50, -18.19, -8.90)
O (-5.64, -19.04, -9.67)
C (-5.49, -20.31, -9.05)
N (-7.84, -16.12, -8.94)
H (-5.47, -15.21, -10.54)
H (-4.57, -16.49, -9.84)
H (-5.46, -15.50, -8.72)
H (-7.12, -17.12, -10.65)
H (-7.44, -18.73, -8.81)
H (-6.19, -18.01, -7.87)
H (-6.37, -20.77, -8.60)
H (-4.89, -20.13, -8.16)
H (-5.08, -21.12, -9.66)
H (-7.88, -15.20, -9.35)
H (-7.71, -15.98, -7.94)

Expectation value of S²: 0.759
Electronic energy (Eh): -2022.38092
Net charge: +1
Relative energy (zero: lowest compared OMol25 entry of this formula, charge and spin) (kJ/mol): 212.8
HOMO energy (spin up / spin down) (eV): -10.3 / -10.3
Spin multiplicity: 2
Orbital gap (spin up / spin down) (eV): 7.7 / 1.8
+++

### Outcome
H (-12.64, -17.19, -12.29)
H (-13.96, -17.86, -11.71)
C (-11.29, -20.89, -11.14)
C (-10.75, -19.45, -11.40)
C (-10.79, -18.43, -10.27)
O (-12.15, -18.33, -9.88)
C (-12.42, -17.82, -8.63)
N (-9.39, -19.62, -11.85)
H (-12.38, -20.87, -11.15)
H (-11.04, -21.17, -10.12)
H (-11.01, -21.55, -11.96)
H (-11.33, -18.98, -12.20)
H (-10.27, -17.49, -10.47)
H (-10.16, -18.76, -9.44)
H (-13.43, -17.90, -8.21)
H (-12.42, -16.73, -8.69)
H (-11.68, -18.16, -7.91)
H (-8.82, -18.82, -12.07)
H (-8.85, -20.01, -11.09)
C (-9.48, -18.43, -5.64)
C (-9.60, -19.93, -5.19)
C (-10.90, -20.62, -5.70)
O (-12.03, -19.91, -5.33)
C (-13.21, -20.34, -5.86)
N (-8.40, -20.42, -5.69)
H (-8.51, -18.06, -5.31)
H (-10.38, -17.98, -5.22)
H (-9.56, -18.29, -6.72)
H (-9.65, -20.15, -4.12)
H (-10.85, -21.66, -5.37)
H (-10.90, -20.68, -6.79)
H (-13.55, -21.31, -5.48)
H (-13.29, -20.39, -6.95)
H (-13.86, -19.58, -5.43)
H (-8.40, -20.04, -6.63)
H (-8.56, -21.40, -5.84)
C (-5.50, -15.93, -9.72)
C (-6.77, -16.85, -9.66)
C (-6.50, -18.19, -8.90)
O (-5.64, -19.04, -9.67)
C (-5.49, -20.31, -9.05)
N (-7.84, -16.12, -8.94)
H (-5.47, -15.21, -10.54)
H (-4.57, -16.49, -9.84)
H (-5.46, -15.50, -8.72)
H (-7.12, -17.12, -10.65)
H (-7.44, -18.73, -8.81)
H (-6.19, -18.01, -7.87)
H (-6.37, -20.77, -8.60)
H (-4.89, -20.13, -8.16)
H (-5.08, -21.12, -9.66)
H (-7.88, -15.20, -9.35)
H (-7.71, -15.98, -7.94)

Expectation value of S²: 0.759
Electronic energy (Eh): -2022.38092
Net charge: +1
Relative energy (zero: lowest compared OMol25 entry of this formula, charge and spin) (kJ/mol): 212.8
HOMO energy (spin up / spin down) (eV): -10.3 / -10.3